Welcome to Eagle Class!
The Hawk Conservancy
What a fabulous day we had at The Hawk Conservancy! After a short journey we started our day with sketching and discovering as much as possible about the birds. We followed this with the Wings of Africa display. We had to duck quite a lot! The Secretary Bird made us laugh as it karate kicked a rubber snake. After lunch we had more time to explore before ending our day with the Valley of the Eagles display. The vultures flew so low they almost hit our heads. We were damp but happy as we returned to school.

Owl Pellets
Today was lots of fun! We dissected owl pellets carefully using tweezers and cocktail sticks so we could find out what the owl had been eating. We were really excited to find lots of different bones and then try and match our bones with the examples to find out what each bone was.

Tim Hopgood Art
This week we have made artwork inspired by the story ‘Wow! Said The Owl’ by Tim Hopgood. We started by creating and layering our owls face using lots of different sized circles. We then drew our owl’s bodies and decorated using different chalk and pastel patterns. Don’t they look amazing?

Owl Press Prints
Today we created our very own owl press print. We had to work through a range of steps to create our art work. First we designed our owl on a whiteboard making sure it was a good size. Then we carefully copied it onto our polystyrene tile using a whiteboard pen. The tricky bit was tracing our design using a pencil making sure we didn’t push too hard. Once our tile was ready we covered it with ink and pressed it onto the paper. What a great way to start our new topic!

The Happy Lion
This week we have made artwork inspired by the story ‘The Happy Lion’ by Louise Fatio. We started by drawing the face of our lion and we used pastels to colour it in. We then got creative when making the manes by using a range of methods and materials. Have a look at our wonderful creations!

Mindful Minis
Yesterday Year 2 had a visit from Mindful Minis. We had a great time learning how to be more aware of our bodies and breath and took part in a number of fun breathing exercises and yoga poses. Have a look at the pictures to see just how much fun we had!

== Inserted here: data records ==
# 1
Entry from OMol25: a molecular structure, C33H59N5O11S2 in a non-equilibrium geometry (ωB97M-V/def2-TZVPD).

Geometry as XYZ:
```
110
Properties=species:S:1:pos:R:3:forces:R:3:mulliken_charge:R:1
C -17.384 -12.653 -6.225 1.00 -2.92 1.31 0.85
C -18.147 -13.166 -5.025 -0.73 -0.82 1.60 -0.75
O -19.273 -13.813 -5.565 -1.36 -1.32 -2.09 -0.30
C -19.261 -13.724 -6.900 1.74 -4.11 2.76 0.89
O -20.086 -14.263 -7.622 3.24 -6.16 3.29 -0.34
O -18.169 -13.108 -7.330 0.03 -3.23 0.44 -0.39
H -16.390 -13.099 -6.183 0.00 0.11 -0.68 0.62
H -17.409 -11.565 -6.295 1.75 -3.24 0.14 -0.76
H -18.619 -12.490 -4.312 0.67 -0.44 -0.39 0.40
H -17.539 -13.858 -4.443 -0.15 -0.26 -0.08 0.40
C -22.355 -9.938 -5.790 4.83 0.16 -0.10 0.52
C -22.121 -8.931 -6.949 4.93 -1.25 6.01 1.49
O -21.327 -7.875 -6.373 0.98 -0.84 2.11 -0.56
C -20.981 -8.263 -5.079 1.59 2.33 -1.16 -0.06
O -20.058 -7.677 -4.426 -7.47 1.60 -4.20 -0.63
O -21.621 -9.443 -4.749 3.00 3.15 2.64 -0.51
H -22.086 -10.895 -6.238 0.29 2.74 2.51 0.06
H -23.373 -9.914 -5.403 2.17 -2.49 2.40 0.13
H -23.090 -8.570 -7.296 3.84 1.19 3.74 0.87
H -21.670 -9.346 -7.850 0.59 -0.09 2.37 -0.42
C -25.287 -13.355 -11.304 -0.21 0.65 -0.44 -0.76
C -24.963 -11.869 -11.558 -1.74 -1.35 -0.78 -0.27
O -24.217 -11.479 -10.448 -1.06 -3.37 0.87 -0.36
C -23.733 -12.568 -9.772 -1.52 -0.65 -4.82 0.20
O -22.898 -12.497 -8.947 -1.29 -0.62 -2.53 0.28
O -24.302 -13.747 -10.315 -0.99 3.23 -2.01 -0.61
H -25.196 -13.856 -12.268 0.52 -0.52 0.38 0.47
H -26.293 -13.576 -10.946 0.14 0.14 0.45 0.28
H -25.837 -11.225 -11.656 -0.13 -0.10 0.26 0.42
H -24.387 -11.780 -12.479 -0.32 -0.54 0.37 0.84
C -25.983 -12.257 -7.228 0.48 1.98 0.93 -0.88
C -25.724 -11.320 -8.471 -2.20 -1.96 2.10 -0.43
C -24.492 -10.467 -8.435 -0.87 0.42 0.01 0.86
C -24.196 -9.752 -7.235 -6.06 -1.00 2.25 -0.13
N -23.968 -9.213 -6.215 -11.56 2.02 -4.17 -0.53
H -26.202 -11.663 -6.341 -0.79 0.12 -0.11 0.47
H -25.018 -12.668 -6.929 -1.18 0.44 0.69 0.59
H -26.679 -13.069 -7.438 -0.09 0.75 0.33 0.56
H -26.634 -10.737 -8.619 0.05 0.25 0.00 0.33
H -25.707 -12.027 -9.300 -0.47 0.46 0.35 0.03
H -24.668 -9.707 -9.197 -0.31 -0.69 0.63 0.71
H -23.619 -11.057 -8.713 -1.54 1.40 1.26 -0.19
C -22.518 -15.520 -12.246 -0.83 0.33 0.40 -1.68
C -21.943 -14.868 -10.970 0.77 -0.52 -1.92 -0.37
C -21.015 -13.605 -11.275 -0.72 -1.34 0.73 0.64
C -21.796 -12.423 -11.661 -0.06 -0.96 -0.45 0.57
N -22.434 -11.481 -11.956 6.26 -15.98 -6.62 -0.30
H -23.214 -14.867 -12.773 0.33 0.44 -0.26 0.25
H -23.200 -16.311 -11.935 0.30 -0.47 0.01 0.43
H -21.777 -15.903 -12.949 0.02 0.04 0.14 0.38
H -21.374 -15.681 -10.518 0.47 0.45 0.35 0.64
H -22.808 -14.663 -10.339 1.39 -0.12 -0.31 0.40
H -20.234 -13.731 -12.024 -0.08 -0.60 -0.03 0.58
H -20.588 -13.379 -10.298 0.74 -0.75 -0.80 -0.75
C -21.792 -9.627 -12.372 0.55 2.77 -1.18 -1.63
C -23.106 -10.039 -11.677 -0.32 7.33 -1.65 -0.03
C -23.752 -8.876 -10.943 -0.79 2.09 -0.05 -2.03
C -23.271 -8.540 -9.603 -0.33 1.20 0.59 0.92
N -22.949 -8.287 -8.506 -3.86 7.52 -11.83 -0.65

Jungle Camps
Today we enjoyed creating our own jungle camp out of card. We had to think about how to make our camps look 3D using the different materials. We had a great time thinking about what to include in our camps and how to model the card to create the different effects.